Change Imported CAD layer color

Hi all,
We link CAD files from our standard detail packages into Revit as drafting views. I need to change the color of a specific layer (hatch) to gray. I was able to find all the layers from the CAD files and filtered down to the hatch1 layer I want to change. I have no idea how where to go from here.

You could use this simple Python script. It changes the Layer found in the Object Styles dialog, not any view override. Note that the view needs to be refreshed (simply hide/unhide the DWG) to see the change. Forcing the refresh via Python is currently a limitation. I’ll get something more robust created and added to my package (bimorphNodes - hope its useful!):

#Copyright 2016. All rights reserved. Bimorph Consultancy LTD, 5 St Johns Lane, London EC1M 4BH
#Written by Thomas Mahon @Thomas__Mahon package: bimorphNodes

import clr

# Import RevitAPI
import Autodesk
from Autodesk.Revit.DB import *

# Import DocumentManager and TransactionManager
import RevitServices
from RevitServices.Persistence import DocumentManager
from RevitServices.Transactions import TransactionManager

doc = DocumentManager.Instance.CurrentDBDocument

dwgImport = UnwrapElement(IN[0])
name = IN[1]
col = IN[2]
# "Start" the transaction

catSub = dwgImport.Category.SubCategories
catSub.Item[name].LineColor = Color(col[0], col[1], col[2])


Also the CADLayerNames node returns strings (text) not the Revit element which is partly why you’ve been unable to find a way to change them. I’ll look to add a new output to these nodes that also includes the Revit object for the next release


Tomas, thank you so much for your help. I added the python script and I got this warning. I made sure that it was exactly as you posted without any tabs, but I was still getting this warning.

As for the CADLayerNames node, I didn’t realize it returns a string. That completely make sense why the way I was using it didn’t work.

You need to add the additional inputs to the python node by clicking the + button. That script looks for three inputs using the IN variable. Each input is indexed and that’s what’s throwing the exception. If you match that example graph I posted then test it should work as expected

Crazy coincidence I was just on Dynamo Primer doing the tutorial on the exact thing you just explained. So now I don’t have errors but the layer still did not change color. Even after I refreshing like you explained above (hide/unhide the DWG).

its the huge black patch in the background that should change.

Its most likely an issue with your DWG rather than the script. Firstly, check the obvious things: ensure you are selecting the correct layer. Once confirmed then its a DWG issue. You can try this and it should work: open in Microstation, select all objects in the DWG, then set the color of all object to ByCell. Link back into Revit and now it will work (tested successfully). I dont know what the equivalent setting is in AutoCAD before you ask:

That did it! I really thank you for all your help. In AutoCAD its called ByLayer.

Is there a way to have the CADLayerNames node except more than one instance? For example, I would like to find all the CAD imported files and have it find the layers causing the issue and change them. Similar to what I tried to do in my first example.

Yes, just use List.Map:

Also, I’ve found a hack to get Python to force the line colour update without you having to hide/unhide the reference:

It’s pretty strightforward really; I’ve simply automated the hide/unhide step.

#Copyright 2016. All rights reserved. Bimorph Consultancy LTD, 5 St Johns Lane, London EC1M 4BH
#Written by Thomas Mahon @Thomas__Mahon package: bimorphNodes

    import clr

    # Import RevitAPI
    import Autodesk
    from Autodesk.Revit.DB import *

    import Autodesk
    from Autodesk.Revit.UI import *

    # Import DocumentManager and TransactionManager
    import RevitServices
    from RevitServices.Persistence import DocumentManager
    from RevitServices.Transactions import TransactionManager
    from System.Collections.Generic import *

    doc = DocumentManager.Instance.CurrentDBDocument

    dwgImport = UnwrapElement(IN[0])
    name = IN[1]
    col = IN[2]
    # "Start" the transaction

    catSub = dwgImport.Category.SubCategories
    catSub.Item[name].LineColor = Color(col[0], col[1], col[2])

    vId = List[ElementId]( )

    v = Autodesk.Revit.UI.UIDocument(doc).ActiveView


That was an awesome hack. It works beautifully without having to do it manually.

Is it possible to have the Python script use the actual layer name instead of the numbered list? In your example, your showing tow files, one with 3 layers and the other with 4. Passing #4 into the script will not work in this case since the first one does not have it.

Like this, but keep in mind that Python script is very basic and only accepts scalars (i.e. single items). You’ll need to create multiple instances of the Python node for now. I am going to add this node to my package soon with the ability to take lists for the next release, so keep your package regularly updated:

Ones again, thank you for all the help. This was an awesome experience. I’m looking forward to the update to your package.

@bizz3d SetCADObjectStyles is avaialble in BimorphNodes v2.0!

_What comes next are records of molecules, not part of the page_
No. 1
Here is CHCl2NO3 in the gas phase at a distorted geometry from the Open Molecules 2025 dataset. Energies are from ωB97M-V with the def2-TZVPD basis set.

Computed properties:
Relative energy (zero: lowest compared OMol25 entry of this formula, charge and spin) (kJ/mol): 109.8
HOMO energy (eV): -11.00
Frontier orbital gap (Eh): 0.389
Energy (eV): -33724.9063

Atoms and positions in Å:
Cl: 0.1910 2.1125 0.0436
Cl: -1.6929 0.9106 -1.8147
O: 0.8091 -0.1377 -1.5836
O: 2.7252 -1.0214 -1.4808
O: 1.1626 -1.7417 -0.1772
N: 1.6112 -0.9976 -1.0202
C: -0.4950 0.6662 -0.7117
H: -0.6277 -0.3365 -0.0377

---

No. 2
Here is CHCl2OP in the gas phase at a distorted geometry from the Open Molecules 2025 dataset. Energies are from ωB97M-V with the def2-TZVPD basis set.

Computed properties:
Relative energy (zero: lowest compared OMol25 entry of this formula, charge and spin) (kJ/mol): 25.6
HOMO energy (spin up / spin down) (eV): -9.68 / -9.68
Frontier orbital gap (spin up / spin down) (Eh): 0.303 / 0.303
Energy (eV): -37433.3815

Atoms and positions in Å:
Cl: 3.6097 0.4060 0.0776
Cl: 0.8867 2.1239 -0.0573
P: 1.8600 -0.6316 -0.2658
O: 2.0014 -2.0982 -0.1104
C: 0.5644 0.4032 0.1213
H: -0.3767 0.2317 -0.5089

---

No. 3
Here is 3 unconnected molecules or ions with the total composition CHCl3FOP at a distorted geometry from the Open Molecules 2025 dataset. Energies are from ωB97M-V with the def2-TZVPD basis set.

Computed properties:
Relative energy (zero: lowest compared OMol25 entry of this formula, charge and spin) (kJ/mol): 353.7
HOMO energy (spin up / spin down) (eV): -9.27 / -8.34
Frontier orbital gap (spin up / spin down) (Eh): 0.298 / 0.246
Energy (eV): -52672.9361

Atoms and positions in Å:
Cl: -1.8727 1.7724 0.7079
Cl: -2.1053 -1.7445 -0.3566
Cl: 2.0085 0.4694 0.9591
P: -0.4863 -1.4297 0.7091
F: 0.6246 -2.2171 -0.1791
O: -0.0269 2.0056 -1.1679
C: -0.5510 1.2758 -0.3842
H: 2.4089 -0.1319 -0.2882

---

No. 4
Here is 2 unconnected molecules or ions with the total composition CHCl3N2 at a distorted geometry from the Open Molecules 2025 dataset. Energies are from ωB97M-V with the def2-TZVPD basis set.

Computed properties:
Relative energy (zero: lowest compared OMol25 entry of this formula, charge and spin) (kJ/mol): 19.3
HOMO energy (eV): -9.94
Frontier orbital gap (Eh): 0.362
Energy (eV): -41597.3974

Atoms and positions in Å:
Cl: 0.4649 1.6912 0.6901
Cl: 1.9126 -0.6496 -0.0716
Cl: -2.1801 -0.1058 -0.6038
N: 1.4861 0.9273 -0.5203
N: -1.1283 -1.5924 1.3979
C: -1.5344 -1.0187 0.5041
H: 0.9791 0.7480 -1.3964


Entry 1:
108
Properties=species:S:1:pos:R:3:mulliken_charge:R:1 method="wB97M-V/def2-TZVPD" charge=-3 homo_ev=2.3895
K -0.292 3.195 -1.491 0.554
S 0.363 7.687 -5.231 1.112
O 0.923 6.534 -5.876 -0.669
O -0.762 7.935 -6.140 -0.705
O -0.010 7.430 -3.826 -0.758
O 1.373 8.728 -5.151 -0.753
S -1.597 0.800 -6.813 1.091
O -1.095 1.437 -8.030 -0.702
O -2.158 2.043 -6.266 -0.662
O -2.510 -0.247 -7.259 -0.723
O -0.563 0.404 -5.853 -0.686


Hi all,

Just want to say thank you for such a clear solution to the above problem – it has been extremely helpful in getting me this far. Apologies for resurrecting this feed but I feel that my issue does lie within the realm of this original ask.

I am working with multiple sub-contractor’s CAD backgrounds per level and I am trying to do the following:

  1. Select all Linked CAD throughout the entire Revit Project
  2. Filter the CAD by file name, thus grouping the Linked CAD by trade
  3. Change all the CAD layers within those Linked CAD files to the same Color, i.e. Electrical = Blue, HAC = Red and so on…

I have been able to get through steps 1 and 2 but cannot figure out how to get the elements/CAD layers within the Linked CAD to change the object style once I filter by trade. I would really appreciate any thoughts on the matter.

@kirsten.crock I think you could replace your current graph using the GetItemAtIndex node and List.Map with the bimorph node CAD.ReportImportInstances, then use your String.Contains and FilterByBoolMask similarly to shown below (I quickly just imported some dwgs that I could run this on).


Thanks so much @awilliams! That did the trick!! And with such a fast reply - I truly appreciate your help!


I’ve got the setup as shown (as far as I can tell), but the node doesn’t seem to actually change anything in my Object Styles.

I have a couple of instances of the same linked DWG in different views and they appear to be filtered correctly, but nothing seems to change.

Any feedback would be appreciated!

Thanks again,
Thom K.

Hi @Thom_Krejci you need to set your cad layer colours to ‘By Level’ (or similar, i don’t know the exact phraseology in AutoCad as I barely use it) in Autocad. If you override the colour of your DWG elements (in AutoCad) it cant be changed in Revit.

Thank you for the quick reply: I haven’t tried to change the color, it was the weight that I was trying to change.

In the Object Styles dialog, I can change the weight and the lines in that link change throughout the model.


I guess I’m looking for Dynamo to be change that “4” highlighted above to let’s say “8”. Am I looking at the wrong dyn for this?

Thanks again!
Thom K.

@Thomas_Mahon : I am trying to update nearly 1020 Cad files in revit with the help of BIMorph tool. The only issue I am facing is that I can not edit only the color or line weight separately for a specific layer. As you know some of the elements only line width needed to be changed and some only color. Would you shed some light on it?
Thanks for such an awesome job with Bimorph by the way.